Texture and anisotropy: preferred orientations in polycrystals and their effect on materials properties UF Kocks, CN Tomé, HR Wenk Cambridge university press, 2000 | 2936 | 2000 |
Combined texture and structure analysis of deformed limestone from time-of-flight neutron diffraction spectra L Lutterotti, S Matthies, HR Wenk, AS Schultz, JW Richardson Jr Journal of Applied Physics 81 (2), 594-600, 1997 | 995 | 1997 |
MAUD: a friendly Java program for material analysis using diffraction L Lutterotti, S Matthies, H Wenk CPD newsletter 21, 14-15, 1999 | 985 | 1999 |
Exhumation of ultrahigh‐pressure continental crust in east central China: Late Triassic‐Early Jurassic tectonic unroofing BR Hacker, L Ratschbacher, L Webb, MO McWilliams, T Ireland, A Calvert, ... Journal of Geophysical Research: Solid Earth 105 (B6), 13339-13364, 2000 | 911 | 2000 |
These calculated molecules were left in the text by mistake >
Entry one
C5H14 | the ωB97M-V functional and the def2-TZVPD basis

As for the spin multiplicity: 1. The calculation puts the HOMO-LUMO gap at 11.96 eV. As for the SMILES: CCC.CC.

CARTESIAN COORDINATES (ANGSTROEM)
1 C 0.719 -0.450 1.308
2 C -0.477 -1.253 2.023
3 C -1.781 -0.459 1.854
4 H 1.463 -0.091 2.024
5 H 1.208 -1.207 0.585
6 H 0.226 0.483 0.833
7 H 0.012 -1.444 3.085
8 H -0.497 -2.182 1.489
9 H -2.292 -0.776 0.946
10 H -1.825 0.657 1.692
11 H -2.480 -0.705 2.725
12 C 0.790 0.306 -2.777
13 C 0.669 1.706 -2.229
14 H 1.132 -0.226 -1.863
15 H -0.246 -0.053 -2.979
16 H 1.621 0.091 -3.444
17 H 1.693 2.102 -2.144
18 H 0.180 1.687 -1.174
19 H 0.282 2.554 -2.854


Entry two
C5H14 | the ωB97M-V functional and the def2-TZVPD basis

As for the spin multiplicity: 1. The calculation puts the HOMO-LUMO gap at 12.54 eV. As for the SMILES: CCC.CC.

CARTESIAN COORDINATES (ANGSTROEM)
1 C 2.037 -0.270 0.692
2 C 1.037 -1.138 1.501
3 C 0.377 -2.192 0.596
4 H 1.697 -0.260 -0.345
5 H 3.022 -0.727 0.784
6 H 2.136 0.791 0.929
7 H 1.594 -1.637 2.287
8 H 0.279 -0.515 1.966
9 H -0.617 -2.485 0.827
10 H 0.288 -1.819 -0.428
11 H 1.027 -3.057 0.562
12 C -1.197 1.281 -0.656
13 C -1.957 2.046 -1.755
14 H -1.873 1.213 0.217
15 H -1.052 0.213 -0.762
16 H -0.404 1.941 -0.325
17 H -1.410 2.038 -2.693
18 H -2.111 3.060 -1.406
19 H -2.873 1.517 -1.992


Most stable to least stable, the ends of the list are entry two and entry one.


Entry one
C5H14 | the ωB97M-V functional and the def2-TZVPD basis

As for the spin multiplicity: 1. The calculation puts the HOMO-LUMO gap at 12.29 eV. As for the SMILES: CCC.CC.

CARTESIAN COORDINATES (ANGSTROEM)
1 C -0.124 0.088 -2.022
2 C 0.158 -1.006 -1.006
3 C 0.387 -2.312 -1.950
4 H -1.024 -0.292 -2.622
5 H 0.746 0.182 -2.680
6 H -0.460 1.039 -1.650
7 H 1.054 -0.828 -0.326
8 H -0.805 -1.095 -0.359
9 H -0.478 -2.898 -1.899
10 H 0.659 -2.045 -2.996
11 H 1.115 -3.040 -1.749
12 C 0.329 1.645 3.034
13 C -0.761 1.586 1.920
14 H 0.054 1.263 4.059
15 H 1.059 0.803 2.604
16 H 1.093 2.438 2.846
17 H -0.283 1.369 1.008
18 H -1.333 2.452 1.819
19 H -1.385 0.653 1.969


Entry two
C5H14 | the ωB97M-V functional and the def2-TZVPD basis

As for the spin multiplicity: 1. The calculation puts the HOMO-LUMO gap at 12.42 eV. As for the SMILES: CCC.CC.

CARTESIAN COORDINATES (ANGSTROEM)
1 C -0.976 -1.499 1.036
2 C -1.649 -0.116 0.994
3 C -2.795 -0.041 0.020
4 H -0.322 -1.602 0.171
5 H -1.654 -2.348 0.942
6 H -0.505 -1.776 1.973
7 H -1.979 0.106 2.003
8 H -0.837 0.579 0.799
9 H -2.630 -0.644 -0.869
10 H -3.676 -0.501 0.481
11 H -3.044 1.007 -0.166
12 C 2.709 0.705 -1.723
13 C 2.524 0.923 -0.214
14 H 2.720 1.651 -2.271
15 H 3.566 0.121 -2.032
16 H 1.847 0.236 -2.201
17 H 1.494 0.751 0.095
18 H 2.740 1.959 0.005
19 H 3.159 0.255 0.348


Entry three
C5H14 | the ωB97M-V functional and the def2-TZVPD basis

As for the spin multiplicity: 1. The calculation puts the HOMO-LUMO gap at 11.75 eV. As for the SMILES: CCC.CC.

CARTESIAN COORDINATES (ANGSTROEM)
Minerals: their constitution and origin HR Wenk, A Bulakh Cambridge University Press, 2016 | 633 | 2016 |
Exhumation of the ultrahigh‐pressure continental crust in east central China: Cretaceous and Cenozoic unroofing and the Tan‐Lu fault L Ratschbacher, BR Hacker, LE Webb, M McWilliams, T Ireland, S Dong, ... Journal of geophysical research: Solid Earth 105 (B6), 13303-13338, 2000 | 555 | 2000 |
Rietveld texture analysis from diffraction images L Lutterotti, M Bortolotti, G Ischia, I Lonardelli, HR Wenk Z. Kristallogr. Suppl 26, 125-130, 2007 | 541 | 2007 |
-- Molecular data that have nothing to do with the article --
Entry 1:
{
  "formula": "C43H60BN3OP3Rh",
  "method": "ωB97M-V/def2-TZVPD",
  "charge": 2,
  "homo_ev": [-12.354, -12.352],
  "energy_ev": -83621.19364,
  "symbols": ["Rh", "C", "C", "C", "C", "P", "C", "N", "B", "N", "C", "P", "C", "C", "C", "C", "C", "C", "C", "C", "C", "C", "C", "C", "C", "C", "C", "C", "C", "C", "H", "H", "H", "H", "H", "H", "H", "H", "H", "H", "H", "H", "H", "H", "H", "H", "H", "H", "H", "H", "H", "H", "H", "H", "H", "H", "H", "H", "H", "H", "H", "H", "H", "H", "H", "H", "H", "H", "H", "H", "H", "H", "H", "H", "O", "N", "C", "C", "C", "C", "C", "C", "C", "P", "C", "C", "C", "C", "C", "C", "C", "C", "C", "C", "C", "C", "H", "H", "H", "H", "H", "H", "H", "H", "H", "H", "H", "H", "H", "H", "H", "H"],
MAUD (material analysis using diffraction): a user friendly Java program for Rietveld texture analysis and more L Lutterotti, H Wenk, S Matthies Proceeding of the twelfth international conference on textures of materials …, 1999 | 484 | 1999 |
Texture and anisotropy HR Wenk, P Van Houtte Reports on Progress in Physics 67 (8), 1367, 2004 | 469 | 2004 |
Preferred orientation in deformed metal and rocks: an introduction to modern texture analysis HR Wenk Elsevier, 2013 | 443 | 2013 |
Operational texture analysis JS Kallend, UF Kocks, AD Rollett, HR Wenk Materials Science and Engineering: A 132, 1-11, 1991 | 441 | 1991 |
Texture analysis with the new HIPPO TOF diffractometer HR Wenk, L Lutterotti, S Vogel Nuclear Instruments and Methods in Physics Research Section A: Accelerators …, 2003 | 440 | 2003 |
BEARTEX: a Windows-based program system for quantitative texture analysis HR Wenk, S Matthies, J Donovan, D Chateigner Applied Crystallography 31 (2), 262-269, 1998 | 384 | 1998 |
Nanostructure of calcium silicate hydrates in cements LB Skinner, SR Chae, CJ Benmore, HR Wenk, PJM Monteiro Physical review letters 104 (19), 195502, 2010 | 336 | 2010 |
Mollusc shell microstructures and crystallographic textures D Chateigner, C Hedegaard, HR Wenk Journal of Structural Geology 22 (11-12), 1723-1735, 2000 | 300 | 2000 |
Here the piece breaks off for quantum chemistry results =
16
Properties=species:S:1:pos:R:3:lowdin_charge:R:1 method="wB97M-V/def2-TZVPD" energy_ha=-1029.02893 e_homo_ev=-9.014 multiplicity=1 de_lowest_ev=0.816 smiles=CCSS.O.O
C 1.0710 -3.0360 -0.7410 -0.169
C 0.8053 -1.9149 -1.7266 -0.673
S 0.3949 -0.3297 -0.9935 0.398
S -0.0701 0.8555 -2.6535 0.317
H 1.9682 -2.9033 -0.1400 0.070
H 1.0891 -3.9440 -1.3429 0.074
H 0.2831 -3.2077 -0.0081 0.068
H 0.0934 -2.2530 -2.4892 0.070
H 1.6368 -1.6625 -2.3986 0.058
H 1.2199 1.0021 -2.9414 -0.212
O -2.2395 4.4441 1.5306 -0.049
H -2.6398 4.5367 2.4113 0.045
H -2.2102 3.5327 1.3210 0.005
O 0.0643 -0.9338 6.6896 -0.048
H 0.1096 -0.9101 5.7390 0.023
H 0.2464 -1.8406 6.9233 0.026

=====

ORCA calculation (wB97M-V/def2-TZVPD) on a structure of composition C25H42CrF5N5S in a non-equilibrium geometry.

Computed properties:
* electronic energy: -3193.3968 a.u.
* M: 591.699 g/mol
* ⟨S²⟩: 3.87
* energy above the lowest of the compared OMol25 structures with the same formula, charge and spin: 0.3608 eV
* orbital gap (alpha / beta): 7.8977 / 9.1164 eV
* HOMO level (alpha / beta): -11.262 / -11.436 eV

ORCA input file:
```
! wB97M-V def2-TZVPD RIJCOSX def2/J DEFGRID3
* xyz 1 4
F 4.720 1.347 -0.990
C -2.181 3.431 -1.314
H -1.934 -1.428 4.599
H -0.108 -3.338 -2.869
H 1.172 1.591 -3.405
F 2.429 0.491 -1.903
N 1.943 3.913 3.391
S 0.626 2.652 1.535
H 2.913 -1.947 0.948
H 1.528 4.730 2.979
H 2.615 4.038 4.130
H -3.730 -0.106 1.729
C 2.254 -2.644 -1.739
H -3.031 -1.357 -3.403
H 0.368 -4.542 -1.374
C 0.854 -4.303 -0.435
H 1.531 3.292 -3.147
C 0.427 -1.852 -0.118
H 2.839 -3.530 -1.995
N -1.560 2.473 -0.604
C -1.752 0.911 3.211
C -1.180 -1.514 -2.309
C -1.460 -0.554 0.064
C -3.431 4.081 -0.837
C 3.789 1.007 -0.110
H 0.772 -1.878 2.057
H 0.119 -4.395 0.368
C -0.344 2.705 -2.353
C 1.499 -2.899 -0.429
F 2.321 2.493 -0.984
F 4.039 -0.263 0.277
H -0.724 -0.970 -4.351
H -0.271 -1.200 4.071
C -0.405 -0.687 -3.346
C 1.718 2.727 2.820
H -1.611 -3.623 -1.966
C -1.125 -2.993 -2.712
H 3.203 0.073 2.541
H -2.404 0.973 4.086
C -1.432 3.591 -2.455
H -2.418 -0.122 -0.165
C -2.658 -1.097 -2.412
H -3.231 4.713 0.031
H -3.316 -1.827 1.821
N 2.381 1.685 3.340
C -0.661 -1.281 -0.880
H 2.940 -1.806 -1.628
H 2.161 -3.420 1.597
C 2.550 -2.940 0.697
H 0.332 2.829 -4.353
H -1.658 -3.114 -3.655
N -0.423 2.027 -1.206
H 1.594 -2.426 -2.573
H -2.109 1.643 2.483
H -0.747 1.197 3.515
H 3.100 1.860 4.027
H -4.170 3.332 -0.550
H -0.613 0.371 -3.210
N 2.283 0.420 2.787
H -3.856 4.702 -1.620
H -1.796 2.169 0.326
H 3.400 -3.532 0.356
H -3.816 -0.949 3.272
Cr 0.521 0.543 0.040
F 3.945 1.794 0.978
C 2.371 1.148 -0.670
C 0.734 2.583 -3.372
C -3.251 -0.871 2.343
H 1.630 -5.051 -0.267
C -0.969 -0.710 1.372
H 1.857 -0.207 3.458
H -1.626 4.258 -3.278
C -1.275 -1.469 3.731
H -3.269 -1.625 -1.677
H 0.672 -0.841 -3.272
C -1.786 -0.511 2.649
C 0.231 -1.451 1.231
H -1.258 -2.498 3.367
H -2.791 -0.020 -2.290
*
```

=====

{
  "formula": "C5H11NO",
  "method": "ωB97M-V/def2-TZVPD",
  "homo_ev": -9.1317,
  "lumo_ha": 0.0333,
Back to the piece =
Deformation of polycrystalline MgO at pressures of the lower mantle S Merkel, HR Wenk, J Shu, G Shen, P Gillet, H Mao, RJ Hemley Journal of Geophysical Research: Solid Earth 107 (B11), ECV 3-1-ECV 3-17, 2002 | 259 | 2002 |
Convection and anisotropy of the inner core R Jeanloz, HR Wenk Geophysical Research Letters 15 (1), 72-75, 1988 | 255 | 1988 |
In situ observation of texture evolution during α→ β and β→ α phase transformations in titanium alloys investigated by neutron diffraction I Lonardelli, N Gey, HR Wenk, M Humbert, SC Vogel, L Lutterotti Acta Materialia 55 (17), 5718-5727, 2007 | 232 | 2007 |
Rietveld texture analysis from TOF neutron diffraction data HR Wenk, L Lutterotti, SC Vogel Powder Diffraction 25 (3), 283-296, 2010 | 231 | 2010 |
Superplasticity in Earth's lower mantle: evidence from seismic anisotropy and rock physics S Karato, S Zhang, HR Wenk Science 270 (5235), 458-461, 1995 | 230 | 1995 |